Barre. Pilates. Fitness for all.

Core Collective classes are designed for every body. Experienced instructors offer modifications and options for each exercise, so you’ll get the workout that your unique body needs. Come as you are—all are welcome.


Group Fitness Classes

With a variety of class styles and exercises to keep your mind and body continually adapting, you won’t get bored doing the same workout day after day. From fast-paced cardio circuits to restorative flows, there’s a class for everyone at Core Collective.


Core Barre Classic

Accessible to everyone (no ballet experience required!), our signature barre class combines attributes of Pilates, dance, and functional fitness.

Using small, isolated movements to fatigue the muscles, larger range of motion movements to elevate the heart rate, and sequencing that incorporates both upper and lower body, we make every minute count. The result? A total body workout that leaves you mentally strong and feeling accomplished. Upbeat instructors and killer playlists provide the fuel for an intense and FUN workout!

Barre Classic is a 55-minute class. We also offer Barre Express, which is a 45-minute version of our signature class. Wear comfortable workout clothes and bring a bottle of water. Grip socks (we sell them in studio) are required for all barre classes.


Pilates Mat

Find your focus, strengthen your entire body, and stretch your limits with our 45-minute mat class. At Core Collective, our Pilates instructors are certified through Power Pilates and carry on the tradition of Classical Pilates as created by Joseph Pilates.

Working the principles of concentration, breath, precision, and flow, you'll work your deep core and leave feeling energized, flexible, and strong! With your own body as resistance, you will effectively work all muscle groups with low-impact movements. This class offers modifications and challenging variations, and is open to all levels.


Barre Strength

Get lean and strong with this 45-minute bootcamp-inspired class! Expect a new challenge each time. Some classes may feature more heart-rate elevating cardio sprints intermixed with functional strength work in a circuit format. As with all of our classes, modifications and progressions will be offered to keep everyone working at the level that’s best for their body on that day. Beginners are welcome!


Barre Flow

Part strength, part stretch, Barre Flow is a 45-minute full-body workout designed to leave you feeling strong (sweaty!) and revitalized. Gently strengthens and tones both beginner and experienced barre clients. Work is done both at the barre and on the mat. Class ends with a lovely two-minute savasana and a cool, lavender-infused cloth to settle the mind and soothe the soul. 


Now offering Yoga at Core Collective!

RYT-200 Yoga Instructors are now on staff, enabling us to offer you even more ways to mindfully move your body.

Power Flow

Strengthen and tone with this 45 minute yoga power flow. Develop balance, strength and flexibility as we connect traditional yoga poses through Vinyasa. This class will leave you feeling strong, energized and refreshed as we create a non-stop flow from one pose to the next. Mats are provided, but you are welcome to bring your own.


Gentle Flow

Connect with your breath, stretch, flow, and unwind in this gentle class designed for all levels. A perfect complement to your higher intensity workouts, this class will help melt away the stress, leaving you with a sense of peace and calm. Expect longer holds and restorative movement. Some evening classes will be taught by candlelight to create a beautifully serene atmosphere. Mats are provided, but you are welcome to bring your own if you prefer.


Private Pilates Lessons

Complete coordination of mind, body, and spirit.

Develop balanced strength and stability from the core. With a complete studio of apparatus available, we use a systematic, integrative approach to progress through a system of exercises on the mat, reformer, wunda chair, Cadillac, and barrels. Private and/or duet lessons are with studio owner Elizabeth, a Power Pilates certified instructor.

Among the many benefits of a regular Pilates practice, you can expect better posture and alignment, balanced strength and flexibility, and uniformly developed muscles to support your daily activities.


Personal Training

+++
Entry from the OMol25 dataset: one molecule with the formula C5H7ClO in a non-equilibrium geometry (wB97M-V/def2-TZVPD).

XYZ file:
```
14
Properties=species:S:1:pos:R:3:forces:R:3
C -1.098534 -0.847727 -0.009365 -0.1 -2.7 -0.2
H -0.287789 1.056701 0.050319 0.8 -0.6 0.2
C -2.500260 -0.670485 -0.261611 -2.0 0.2 1.3
C -0.088325 -0.033534 0.134862 -0.2 1.7 -0.6
H 2.428483 -0.180595 -1.318640 -0.7 0.2 0.9
H -2.914241 -1.487193 -0.849127 -0.1 0.4 -0.4
C 2.231166 0.117002 -0.229898 1.2 0.5 -4.1
H 3.143811 -0.167640 0.163604 1.5 -1.2 1.8
O 1.149471 -0.550977 0.279836 -0.3 0.3 1.2
H -3.189876 0.896179 1.161993 0.0 -1.3 -1.0
C -3.398183 0.091816 0.395868 0.3 1.4 -0.1
H 2.367812 1.196149 -0.293677 -1.4 0.4 0.7
Cl -5.116619 0.187157 -0.059962 0.9 -0.4 0.2
H -0.839008 -1.933723 -0.066255 0.0 0.9 0.2
```
Forces are in eV/Å.

The SMILES is CO/C=C/C=C/Cl. The value obtained for the LUMO energy is 0.91 eV. The charge is 0. The largest force on an atom is 0.084 Eh/bohr. Its HOMO energy is -8.495 eV. The HOMO-LUMO gap comes out at 9.4 eV.



Entry from the OMol25 dataset: C5H7ClOS as an isolated structure in a non-equilibrium geometry (wB97M-V/def2-TZVPD).

XYZ file:
```
15
Properties=species:S:1:pos:R:3:forces:R:3
Cl -3.558888 0.263849 -0.096145 0.5 -0.6 0.3
H 2.460333 1.473691 -0.537529 -3.8 -1.0 2.0
H 1.193393 2.516669 1.507446 -1.2 -2.4 -0.4
H -1.815382 -0.571135 -1.572612 -0.3 0.8 2.1
H 0.037850 0.890665 1.819184 0.4 0.7 -0.4
C 0.764607 1.465457 1.216156 2.7 -1.0 -3.6
C -1.263818 -1.462086 0.264935 -0.6 -0.5 2.4
S 0.490867 -1.808265 0.076353 -0.4 0.4 -1.0
H 1.251611 -0.293012 -1.963773 0.5 -0.4 3.1
C -1.911679 -0.288375 -0.428179 2.0 0.4 -2.8
C 1.340799 0.873976 0.043164 3.4 3.1 0.5
O -1.764142 -2.152397 1.130774 -0.1 0.5 -1.2
C 1.397464 -0.431267 -0.770223 1.4 -1.6 1.0
H -1.180535 0.566109 -0.245801 -1.2 -0.9 -0.4
H 2.557519 -1.043882 -0.443751 -3.2 2.4 -1.6
```
Forces are in eV/Å.

The value obtained for the LUMO energy is 0.27 eV. The charge is 0. The largest force on an atom is 0.090 Eh/bohr. Its HOMO energy is -9.648 eV. The HOMO-LUMO gap comes out at 9.9 eV.



Entry from the OMol25 dataset: a 2-piece molecular cluster, C5H7ClS overall in a non-equilibrium geometry (wB97M-V/def2-TZVPD).

XYZ file:
```
14
Properties=species:S:1:pos:R:3:forces:R:3
H 0.913325 2.455831 0.163811 0.6 -0.3 -0.1
H -0.417219 0.483973 -1.806052 0.5 0.4 0.5
C 1.707097 1.701430 0.074771 0.2 -0.4 -1.0
Cl -0.315676 0.653926 1.812508 -1.3 -0.4 0.4
C 0.222603 -0.027796 -1.074698 -2.6 0.6 2.5
C 1.479361 0.521116 -0.506207 0.2 -1.7 -1.2
+++
-- Back to the piece --

Not into group fitness? Working on a specific goal?

Work one-on-one directly with Elizabeth, a NASM Certified Personal Trainer, to achieve your individual goals. Whether you’re looking to shed body fat, build lean muscle, develop balance and flexibility, or just feel better in your body, we can work together to create a program that fits your unique needs.

With dedicated weight training and Pilates areas, Core Collective is equipped for your success. Ready? Let’s get to work.

Personal Training

Flexible memberships.

== Quantum chemistry results that have nothing to do with the article ==
/*
130
Properties=species:S:1:pos:R:3:forces:R:3 method="wB97M-V/def2-TZVPD" homo_lumo_gap_ev=4.88 charge=+1 e_above_lowest_kcal_mol=407.4
S -5.03808 2.50797 -0.91130 2.54 0.94 -2.71
S -2.23416 3.46718 -1.74340 -0.08 -0.59 -0.37
O 3.50828 0.56631 -2.00283 -8.18 -3.38 2.05
O -8.09439 -2.94719 3.83347 0.54 0.83 -1.55
O 4.22184 5.10805 6.48884 -1.70 -0.41 -0.76
O 8.97819 -1.27185 -0.12386 0.00 1.01 1.49
O 7.53482 3.37604 -7.77992 -1.33 -1.34 -0.29
O 2.25641 5.78288 5.78517 1.26 -1.44 0.30
O -7.17215 -2.87696 1.84399 -0.77 0.68 1.35
O 6.60576 1.83728 -9.03790 0.08 0.96 1.58
O 9.93328 -0.61985 1.74058 -1.43 0.09 -1.29
O -0.36044 -0.68250 3.22067 3.26 -2.39 -3.86
O 1.34055 0.07263 -2.91098 2.59 2.00 4.20
N 6.67916 2.50502 -7.99638 1.11 0.31 -1.12
N 3.10075 4.90112 6.00266 0.38 1.66 0.43
N -7.78756 -2.35796 2.78719 0.27 -1.25 0.21
N 0.92228 -1.15765 -3.25491 -0.63 -3.88 -1.02
N -4.46287 2.60032 -3.60365 2.67 0.82 0.55
N 9.02697 -0.56921 0.89673 1.25 -0.97 -0.17
N 1.70530 -2.05479 2.58252 0.51 1.80 -3.19
C -9.25617 1.01428 3.56110 0.21 -0.19 -0.30
C 3.33528 1.17690 5.55219 -0.26 0.25 -0.11
C -1.85026 -3.74994 4.84466 -0.64 -0.56 0.52
C 5.68218 2.25103 -6.94947 -0.73 -0.16 0.75
C 7.95875 1.21302 2.25274 -0.02 -0.06 -0.06
C 2.86292 -2.49563 1.71042 -2.22 3.48 -2.82
C -3.58592 1.67163 -4.41587 -0.43 -1.27 -0.99
C -2.19961 -2.21779 4.29917 -0.79 -1.18 -0.28
C 6.86939 0.44835 0.21384 0.03 -0.01 0.11
C 5.82067 1.33998 0.44744 0.23 -0.02 0.27
C 3.02971 -1.78140 0.23677 -2.45 0.98 2.38
C 1.99903 -0.57350 -0.28593 -0.57 -2.70 3.98
C -1.34271 -1.78266 2.96693 -2.35 -1.40 -0.26
C 4.70936 1.26119 -7.14258 0.05 0.04 0.01
C -3.79416 -2.29875 3.80164 0.18 0.17 0.50
C 6.90566 2.10274 2.47424 -0.05 -0.24 -0.30
C -8.18398 -0.95107 2.65314 -0.28 0.95 -0.11
C -2.52389 -4.01338 6.35102 0.65 -0.93 -0.32
C 5.83896 2.16141 1.57573 0.12 -0.10 0.03
C -3.93552 2.83410 -2.20508 -2.49 -1.70 0.63
C -2.46312 -4.93760 3.87816 0.02 -0.63 0.17
C -8.29147 1.07415 1.34013 -0.05 -0.21 0.33
C 3.66577 2.48717 5.90381 -0.06 0.06 -0.04
C -3.92360 0.13817 -3.91508 -0.84 0.36 -0.08
C 3.76441 1.79947 -4.98187 0.00 0.04 -0.10
C -8.86269 -0.31791 3.70287 0.02 -0.01 -0.04
C -8.97443 1.70495 2.38118 0.03 -0.12 0.03
C -0.24088 1.06168 0.38527 -0.82 -0.59 1.88
C 2.09220 -3.45266 -3.92491 0.21 -0.23 -1.13
C -4.79134 3.88381 -4.33346 -1.49 0.86 -1.08
C 1.18920 1.93023 4.71929 0.33 0.05 0.11
C -1.12118 0.82462 -0.97704 -0.29 0.61 -0.02
C 0.73599 -4.29759 -3.55731 0.51 0.43 1.65
C -6.46040 3.97274 -4.38154 0.02 -0.59 0.66
C 0.69725 -0.95228 2.20103 1.50 0.07 -0.92
C 0.91741 -5.93933 -3.61376 -1.30 0.64 0.31
C 1.50726 3.24394 5.06912 0.13 0.01 0.02
C 7.93407 0.38406 1.12328 -0.78 0.65 0.17
C -7.89047 -0.25678 1.47137 -0.02 0.00 0.07
C 1.86055 -1.85567 -4.21416 0.90 -0.64 -1.59
C 4.73922 2.77958 -4.78880 0.00 -0.24 -0.36
C -0.91021 2.15384 -1.92354 1.30 -1.85 -1.51
C 2.75022 3.51859 5.65598 -0.27 -1.03 -0.29
C 0.80903 -0.14157 0.75544 1.90 -2.03 0.16
C 5.70492 3.00914 -5.77069 -0.03 -0.06 -0.06
*/

No initiation fees.

No contracts.


Get unlimited barre and Pilates for $125/month

As many classes as you like. In-studio or online.